Monday, June 7, 2010

Basking in Weirdness with a Giant Pinch of Hot Creepy

Florida is full of beauty, surprises, transplants from faraway places, agriculture...and weird, weird roadside attractions and unexpected dives.

You can't call the Bubble Room a dive, but weird it is. And so chocked full of memorabelia this restaurant with the wobbly roof is, one wonders if the occassion to dust and clean ever comes around more than once in a very long time. Situated on a charming spot on Captiva Island, the Bubble Room is quite possibly the strangest place you'll ever grab a bite to eat. ...If you don't count the Linger Lodge here in Bradenton, which is bathed in a very odd assortment of badly taxidermied mammals and rattlesnakes spelling out words on the walls. I diverege from the subject at hand...

To me, there isn't much that can be creepier than monkeys, monkeys with instruments and oversized rabbits on the front porches of doll houses.

...except maybe clowns--clowns that look mean, like something out of that movie that ran on HBO for two centuries in the late '80's, Killer Clowns from Outerspace. Remember that jewel? Brother used to love it.

Then again, I can't say enough about statues of ravenous animals like a llama that belongs on Poltergeist--looking at you with a creepy stare as if it will soon come alive and attack with its bizarre pink and black lips...

...and a hippo head the wild Nile River has never seen the likes of--jaws thrown open 180 degrees.

Where the HELL did these things come from. And did Stephen King have a hand in their creation?

I can't forget the cage from a circus side show, inhabited here by a local writing Goddess and Gropius reader. 
Despite my apparent Bubble Room bashing, it's such a cool place to visit. The pop history you find within these walls nearly blinds you from too many detailed movie posters, action figures, faded postcards and worn stuffed animals, vintage stuff that could or could not be worth millions in Antique Roadshow.  You can't possibly imagine all of the oldie moldy collector's items, including a giant filthy Micky Mouse from the Macy's Day parade, looming over the tables; dolls with frozen cries on their faces; metal ferris wheels; Alice in Wonderland's real life tea party; a room filled with aquariums and nautical treasures; etc. etc. All of the tables have glass tops under which a myriad of Christmas treasures and random bits of creepiness are mixed together.
Now you simply cannot be in this part of the world without having a meal at the Bubble Room, or at least stopping for one of the 70 pound slices of cake.

A coconut cake slice one of the six friends took home stayed wrapped in the hotel room overnight, followed us through hot car rides around the island the next day and was finally eaten with a shared fork in the car just before we pulled off the highway home.  Ah, friends. Nice to have a bizarre place to share an adventure. Tomorrow I'll post photos of the gorgeous natural treasures of Sanibel/Captiva. They won't be nearly as creepy.


Liz Mays said...

I've never been to the Captiva side, but I've been to Sanibel many, many times!!! I adore it there!

That place has "fun house" written all over it. Super creepy! Except for the cake...that there is beauty.

Leah said...

This type of place will surely get the thumbs-up from my boys. They love the bizarre, the unexpected and the grotesque. Hahaha! Have a great day! xoxo

Anonymous said...

People who post photos of friends screaming like a demented banshee in a cage are no longer friends. I'm just sayin'.

Marvin said...

What a fun trip! Lovely pictures!

Thanks for reading my silly blog. ;-)

These records of crystals were left in the article by mistake:
<<<
No. 1
Mn10FeN9, relaxed, DFT PBE; DFT total energy = -8.8536 eV per atom; energy of formation from the pure elements = -0.26 eV/atom; space-group type = P2_1/c; mass density = 6.08 g cm⁻³; total energy after the MP2020 corrections = -9.016 eV per atom; magnetic moment = 54.1 μB/cell
1.0
6.7310 0.0000 0.0000
0.0000 7.1749 0.0000
-0.6644 0.0000 16.5515
Mn Fe N
40 4 36
Cartesian
-0.2220 0.7497 5.9065 Mn
-0.5542 2.8377 14.1822 Mn
0.1301 0.6758 2.0545 Mn
-0.2021 2.9116 10.3303 Mn
0.4969 4.9320 16.1664 Mn
0.8291 5.8304 7.8906 Mn
0.8309 5.0993 12.8954 Mn
1.1631 5.6631 4.6197 Mn
0.9945 0.9844 13.6320 Mn
1.3267 2.6031 5.3563 Mn
1.4966 0.9103 10.4863 Mn
1.8288 2.6772 2.2106 Mn
1.6412 4.5427 10.2999 Mn
1.9734 6.2197 2.0242 Mn
2.7220 4.5724 6.5425 Mn
2.3898 6.1900 14.8182 Mn
2.7879 0.8354 7.0652 Mn
2.4556 2.7521 15.3409 Mn
3.1039 0.3048 4.2831 Mn
2.7717 3.2826 12.5588 Mn
3.2949 3.8923 3.9927 Mn
2.9627 6.8701 12.2684 Mn
3.6109 4.4228 1.2105 Mn
3.2787 6.3396 9.4863 Mn
3.6767 0.9850 1.7333 Mn
3.3445 2.6025 10.0090 Mn
4.0931 0.9553 14.5273 Mn
4.4254 2.6322 6.2516 Mn
4.2377 4.4978 14.3409 Mn
4.5700 6.2646 6.0652 Mn
4.7399 4.5718 11.1952 Mn
5.0721 6.1905 2.9195 Mn
4.9034 1.5118 11.9318 Mn
5.2357 2.0757 3.6560 Mn
5.2374 1.3445 8.6608 Mn
5.5697 2.2430 0.3851 Mn
6.2687 4.2633 6.2212 Mn
5.9365 6.4991 14.4970 Mn
6.6208 4.3372 2.3693 Mn
6.2886 6.4252 10.6450 Mn
0.5541 0.4475 16.1725 Fe
0.8863 3.1399 7.8967 Fe
5.1803 4.0350 8.6547 Fe
5.5125 6.7274 0.3790 Fe
-0.4246 4.7286 14.4573 N
-0.0923 6.0338 6.1816 N
-0.0611 4.5637 11.2827 N
0.2711 6.1987 3.0069 N
1.4054 3.7816 3.9105 N
1.0732 6.9808 12.1862 N
1.6549 4.4740 1.3784 N
1.3227 6.2884 9.6541 N
1.6296 0.7191 5.3696 N
1.2974 2.8683 13.6454 N
1.8293 0.8032 1.3281 N
1.4971 2.7843 9.6038 N
2.0835 0.8406 15.1593 N
2.4157 2.7468 6.8836 N
2.3344 4.5952 15.8236 N
2.6667 6.1672 7.5478 N
2.6955 5.2212 13.2438 N
3.0277 5.5412 4.9681 N
3.0388 1.6338 11.5834 N
3.3710 1.9537 3.3077 N
3.3999 1.0078 9.0037 N
3.7321 2.5797 0.7279 N
3.6508 4.4281 9.6679 N
3.9830 6.3343 1.3922 N
4.5695 4.3907 6.9477 N
4.2372 6.3717 15.2234 N
4.7692 4.3066 2.9061 N
4.4370 6.4558 11.1819 N
4.7439 0.8866 6.8974 N
4.4117 2.7009 15.1731 N
4.9934 0.1941 4.3652 N
4.6612 3.3933 12.6410 N
5.7955 0.9763 13.5446 N
6.1277 2.6112 5.2688 N
6.1589 1.1411 10.3699 N
6.4911 2.4464 2.0942 N

No. 2
Zn3P2O8, relaxed, DFT PBE; DFT total energy = -6.1191 eV per atom; energy of formation from the pure elements = -2.37 eV/atom; space-group type = C2/c; mass density = 3.62 g cm⁻³; total energy after the MP2020 corrections = -6.542 eV per atom
1.0
4.1629 -2.8350 0.0000
4.1629 2.8350 0.0000
-3.9171 0.0000 15.0217
Zn P O
6 4 16
Cartesian
-1.7969 0.2955 14.0149 Zn
1.2251 1.4292 11.2663 Zn
0.1617 -0.2955 6.5040 Zn
4.2471 0.2955 8.5177 Zn
3.1837 -1.4292 3.7554 Zn
6.2056 -0.2955 1.0068 Zn
-1.0925 0.3921 9.4325 P
0.8660 -0.3921 1.9217 P
3.5427 0.3921 13.1000 P
5.5013 -0.3921 5.5892 P
1.6167 2.6760 9.7146 O
0.8335 2.6760 12.8179 O
1.5509 0.6153 0.9208 O
1.4735 1.0924 6.3065 O
>>>

M L Jassy said...

Not sure if I'd like to be a captive on that island. I can take a little kistch now and then, but this would blow my sense of reality too far out of proportion to get back safely. All those garish colours and fibreglass animals. Yep, unsafe!

nursemyra said...

What is that red cake? I've never seen red cake before. Now I really really want red cake!

Mr. Charleston said...

I wanna go. Next time I'm in that neck of the woods I'm heading to Captiva. Pretty good drive from Bradenton however. May have to settle for the Linger Lodge.

Anonymous said...

I do think the clowns are creepier than the monkeys. Thanks for sharing the weirdness! Fun post!

Julia, the Thanksgiving Girl said...

Haha!! I love the colorfulness of all those places and pictures though!

What are YOU thankful for? Come share a story and win a little thankful something!

ballast photography said...

Oh, my...I'd NEVER be able to get my kids in that place. They aren't much for monkeys and they hate clowns. What a strange place, indeed!

"oldie moldy collector's items"--LOL!

Tootie said...

I wouldn't call it Bubble Room bashing. :) I have exactly the same opinion. That being said, we still take all of our visitors there before they leave, and always enjoy it.

Erica@PLRH said...

Reminds me a little bit of Chalet Suzanne!

KB said...

A place I could enjoy. It also looks like a good place to practice for a trip to the House on the Rock, the ultimate in bizarre.

Unknown said...

Hmmmm........Wonder what they were thinking when they decorated....Suzanne

Unknown said...

This place looks awesome! I laughed at every detail you explained to us; how fun! You described it really well, you made me want to go there now. :o)